### Excerpt
Entry 1:
# MgZnTc2 (PBE, optimized geometry)
data_MgZnTc2
_chemical_formula_sum 'Mg1 Zn1 Tc2'
_cell_length_a 5.025
_cell_length_b 5.025
_cell_length_c 5.025
_cell_angle_alpha 142.37
_cell_angle_beta 127.18
_cell_angle_gamma 66.65
_space_group_name_H-M_alt 'P 1'
_space_group_IT_number 1
_space_group_name_Hall 'P 1'
loop_
_atom_site_label
_atom_site_fract_x
_atom_site_fract_y
_atom_site_fract_z
Tc1 0.759 0.259 0.500
Tc2 0.986 0.986 0.000
Zn1 0.506 0.506 0.000
Mg1 0.249 0.749 0.500
# crystal system	orthorhombic
# uncorrected energy	-23.0	eV/cell
# energy relative to the elements	0.16	eV per atom
# energy above the most stable polymorph in this dataset	0.211	eV per atom


Entry 2:
# TlPd3Pt (PBE, optimized geometry)
data_TlPd3Pt
_chemical_formula_sum 'Tl1 Pd3 Pt1'
_cell_length_a 4.952
_cell_length_b 4.952
_cell_length_c 4.952
_cell_angle_alpha 90.00
_cell_angle_beta 90.00
_cell_angle_gamma 90.00
_space_group_name_H-M_alt 'P 1'
_space_group_IT_number 1
_space_group_name_Hall 'P 1'
loop_
_atom_site_label
_atom_site_fract_x
_atom_site_fract_y
_atom_site_fract_z
Pt1 0.000 0.000 0.000
Pd1 0.500 0.000 0.000
Pd2 0.000 0.500 0.000
Pd3 0.000 0.000 0.500
Tl1 0.500 0.500 0.500
# crystal system	cubic
# uncorrected energy	-20.4	eV/cell
# energy relative to the elements	0.72	eV per atom
# energy above the most stable polymorph in this dataset	0.851	eV per atom


Entry 3:
# Dy3YIr2 (PBE, optimized geometry)
data_Dy3YIr2
_chemical_formula_sum 'Dy6 Y2 Ir4'
_cell_length_a 6.758
_cell_length_b 7.056
_cell_length_c 8.370
_cell_angle_alpha 114.93
_cell_angle_beta 113.81
_cell_angle_gamma 90.00
_space_group_name_H-M_alt 'P 1'
_space_group_IT_number 1
_space_group_name_Hall 'P 1'
loop_
_atom_site_label
_atom_site_fract_x
_atom_site_fract_y
_atom_site_fract_z
Dy1 0.235 0.985 0.469
Dy2 0.765 0.015 0.531
Dy3 0.235 0.485 0.469
Dy4 0.765 0.515 0.531
Dy5 0.500 0.750 0.000
Dy6 0.500 0.250 0.000
Y1 0.000 0.000 0.000
Y2 0.000 0.500 0.000
Ir1 0.851 0.138 0.277
Ir2 0.426 0.638 0.277
Ir3 0.574 0.362 0.723
Ir4 0.149 0.862 0.723
# crystal system	orthorhombic
# uncorrected energy	-83.6	eV/cell
# energy relative to the elements	-0.64	eV per atom


Entry 4:
# Th2SnAu6 (PBE, optimized geometry)
data_Th2SnAu6
_chemical_formula_sum 'Th2 Sn1 Au6'
_cell_length_a 4.779
_cell_length_b 6.854
_cell_length_c 8.393
_cell_angle_alpha 114.10
_cell_angle_beta 110.09
_cell_angle_gamma 90.00
_space_group_name_H-M_alt 'P 1'
_space_group_IT_number 1
_space_group_name_Hall 'P 1'
loop_
_atom_site_label
_atom_site_fract_x
_atom_site_fract_y
_atom_site_fract_z
Sn1 0.000 0.000 0.000
Au1 0.500 0.767 0.000
Au2 0.953 0.618 0.669
Au3 0.500 0.233 0.000
Au4 0.953 0.051 0.669
Au5 0.047 0.382 0.331
Au6 0.047 0.949 0.331
Th1 0.485 0.342 0.683
Th2 0.515 0.658 0.317
# crystal system	monoclinic
# uncorrected energy	-41.7	eV/cell
# energy relative to the elements	-0.36	eV per atom


Entry 5:
# Tm5US6 (PBE, optimized geometry)
data_Tm5US6
_chemical_formula_sum 'Tm5 U1 S6'
_cell_length_a 6.676
_cell_length_b 6.669
_cell_length_c 6.667
_cell_angle_alpha 59.99
_cell_angle_beta 80.29
_cell_angle_gamma 70.29
_space_group_name_H-M_alt 'P 1'
_space_group_IT_number 1
_space_group_name_Hall 'P 1'
loop_
_atom_site_label
_atom_site_fract_x
_atom_site_fract_y
_atom_site_fract_z
Tm1 0.500 0.500 0.000
Tm2 0.500 0.832 0.337
Tm3 0.000 0.668 0.665
Tm4 0.000 0.332 0.335
Tm5 0.500 0.168 0.663
S1 0.748 0.420 0.664
S2 0.253 0.253 0.000
S3 0.252 0.580 0.336
S4 0.747 0.747 0.000
S5 0.748 0.084 0.336
S6 0.252 0.916 0.664
U1 0.000 0.000 0.000
# crystal system	monoclinic
# uncorrected energy	-80.3	eV/cell
# E_form (uncorrected)	-1.8204	eV/atom


Entry 6:
# MnFeTcRh (PBE, optimized geometry)
data_MnFeTcRh
_chemical_formula_sum 'Mn1 Fe1 Tc1 Rh1'
_cell_length_a 4.247
_cell_length_b 4.247
_cell_length_c 4.247
_cell_angle_alpha 60.00
_cell_angle_beta 60.00
_cell_angle_gamma 60.00
_space_group_name_H-M_alt 'P 1'
_space_group_IT_number 1
_space_group_name_Hall 'P 1'
loop_
_atom_site_label
_atom_site_fract_x
_atom_site_fract_y
### Work order
It remains to set down everything further up without additions.
### Written answer
Entry 1:
# MgZnTc2 (PBE, optimized geometry)
data_MgZnTc2
_chemical_formula_sum 'Mg1 Zn1 Tc2'
_cell_length_a 5.025
_cell_length_b 5.025
_cell_length_c 5.025
_cell_angle_alpha 142.37
_cell_angle_beta 127.18
_cell_angle_gamma 66.65
_space_group_name_H-M_alt 'P 1'
_space_group_IT_number 1
_space_group_name_Hall 'P 1'
loop_
_atom_site_label
_atom_site_fract_x
_atom_site_fract_y
_atom_site_fract_z
Tc1 0.759 0.259 0.500
Tc2 0.986 0.986 0.000
Zn1 0.506 0.506 0.000
Mg1 0.249 0.749 0.500
# crystal system	orthorhombic
# uncorrected energy	-23.0	eV/cell
# energy relative to the elements	0.16	eV per atom
# energy above the most stable polymorph in this dataset	0.211	eV per atom


Entry 2:
# TlPd3Pt (PBE, optimized geometry)
data_TlPd3Pt
_chemical_formula_sum 'Tl1 Pd3 Pt1'
_cell_length_a 4.952
_cell_length_b 4.952
_cell_length_c 4.952
_cell_angle_alpha 90.00
_cell_angle_beta 90.00
_cell_angle_gamma 90.00
_space_group_name_H-M_alt 'P 1'
_space_group_IT_number 1
_space_group_name_Hall 'P 1'
loop_
_atom_site_label
_atom_site_fract_x
_atom_site_fract_y
_atom_site_fract_z
Pt1 0.000 0.000 0.000
Pd1 0.500 0.000 0.000
Pd2 0.000 0.500 0.000
Pd3 0.000 0.000 0.500
Tl1 0.500 0.500 0.500
# crystal system	cubic
# uncorrected energy	-20.4	eV/cell
# energy relative to the elements	0.72	eV per atom
# energy above the most stable polymorph in this dataset	0.851	eV per atom


Entry 3:
# Dy3YIr2 (PBE, optimized geometry)
data_Dy3YIr2
_chemical_formula_sum 'Dy6 Y2 Ir4'
_cell_length_a 6.758
_cell_length_b 7.056
_cell_length_c 8.370
_cell_angle_alpha 114.93
_cell_angle_beta 113.81
_cell_angle_gamma 90.00
_space_group_name_H-M_alt 'P 1'
_space_group_IT_number 1
_space_group_name_Hall 'P 1'
loop_
_atom_site_label
_atom_site_fract_x
_atom_site_fract_y
_atom_site_fract_z
Dy1 0.235 0.985 0.469
Dy2 0.765 0.015 0.531
Dy3 0.235 0.485 0.469
Dy4 0.765 0.515 0.531
Dy5 0.500 0.750 0.000
Dy6 0.500 0.250 0.000
Y1 0.000 0.000 0.000
Y2 0.000 0.500 0.000
Ir1 0.851 0.138 0.277
Ir2 0.426 0.638 0.277
Ir3 0.574 0.362 0.723
Ir4 0.149 0.862 0.723
# crystal system	orthorhombic
# uncorrected energy	-83.6	eV/cell
# energy relative to the elements	-0.64	eV per atom


Entry 4:
# Th2SnAu6 (PBE, optimized geometry)
data_Th2SnAu6
_chemical_formula_sum 'Th2 Sn1 Au6'
_cell_length_a 4.779
_cell_length_b 6.854
_cell_length_c 8.393
_cell_angle_alpha 114.10
_cell_angle_beta 110.09
_cell_angle_gamma 90.00
_space_group_name_H-M_alt 'P 1'
_space_group_IT_number 1
_space_group_name_Hall 'P 1'
loop_
_atom_site_label
_atom_site_fract_x
_atom_site_fract_y
_atom_site_fract_z
Sn1 0.000 0.000 0.000
Au1 0.500 0.767 0.000
Au2 0.953 0.618 0.669
Au3 0.500 0.233 0.000
Au4 0.953 0.051 0.669
Au5 0.047 0.382 0.331
Au6 0.047 0.949 0.331
Th1 0.485 0.342 0.683
Th2 0.515 0.658 0.317
# crystal system	monoclinic
# uncorrected energy	-41.7	eV/cell
# energy relative to the elements	-0.36	eV per atom


Entry 5:
# Tm5US6 (PBE, optimized geometry)
data_Tm5US6
_chemical_formula_sum 'Tm5 U1 S6'
_cell_length_a 6.676
_cell_length_b 6.669
_cell_length_c 6.667
_cell_angle_alpha 59.99
_cell_angle_beta 80.29
_cell_angle_gamma 70.29
_space_group_name_H-M_alt 'P 1'
_space_group_IT_number 1
_space_group_name_Hall 'P 1'
loop_
_atom_site_label
_atom_site_fract_x
_atom_site_fract_y
_atom_site_fract_z
Tm1 0.500 0.500 0.000
Tm2 0.500 0.832 0.337
Tm3 0.000 0.668 0.665
Tm4 0.000 0.332 0.335
Tm5 0.500 0.168 0.663
S1 0.748 0.420 0.664
S2 0.253 0.253 0.000
S3 0.252 0.580 0.336
S4 0.747 0.747 0.000
S5 0.748 0.084 0.336
S6 0.252 0.916 0.664
U1 0.000 0.000 0.000
# crystal system	monoclinic
# uncorrected energy	-80.3	eV/cell
# E_form (uncorrected)	-1.8204	eV/atom


Entry 6:
# MnFeTcRh (PBE, optimized geometry)
data_MnFeTcRh
_chemical_formula_sum 'Mn1 Fe1 Tc1 Rh1'
_cell_length_a 4.247
_cell_length_b 4.247
_cell_length_c 4.247
_cell_angle_alpha 60.00
_cell_angle_beta 60.00
_cell_angle_gamma 60.00
_space_group_name_H-M_alt 'P 1'
_space_group_IT_number 1
_space_group_name_Hall 'P 1'
loop_
_atom_site_label
_atom_site_fract_x
_atom_site_fract_y